It remains to repeat the lines below word for word.

┌──
(1)
Here is Al2O after structural relaxation from Materials Project. Energies are from PBE-GGA.

Lattice parameters (Å, degrees): 5.629 5.656 49.782 89.46 88.33 60.73
Fractional coordinates of all 54 atoms:
Al (0.000, 0.000, 0.000)
Al (0.000, 0.497, 0.000)
Al (0.003, 0.500, 0.811)
Al (0.144, 0.668, 0.093)
Al (0.150, 0.163, 0.093)
Al (0.175, 0.629, 0.659)
Al (0.180, 0.164, 0.953)
Al (0.180, 0.664, 0.955)
Al (0.229, 0.293, 0.702)
Al (0.261, 0.824, 0.720)
Al (0.290, 0.462, 0.766)
Al (0.325, 0.332, 0.047)
Al (0.325, 0.832, 0.047)
Al (0.351, 0.343, 0.908)
Al (0.361, 0.820, 0.907)
Al (0.450, 0.565, 0.829)
Al (0.467, 0.498, 0.140)
Al (0.468, 0.996, 0.141)
Al (0.485, 0.010, 0.847)
Al (0.499, 0.003, 0.000)
Al (0.504, 0.500, 0.000)
Al (0.549, 0.807, 0.661)
Al (0.646, 0.163, 0.093)
Al (0.646, 0.666, 0.093)
Al (0.677, 0.671, 0.953)
Al (0.679, 0.164, 0.953)
Al (0.686, 0.951, 0.747)
Al (0.821, 0.358, 0.753)
Al (0.823, 0.833, 0.046)
Al (0.825, 0.331, 0.048)
Al (0.857, 0.334, 0.908)
Al (0.863, 0.827, 0.908)
Al (0.907, 0.177, 0.654)
Al (0.957, 0.142, 0.860)
Al (0.967, 0.998, 0.140)
Al (0.968, 0.497, 0.140)
O (0.003, 0.200, 0.722)
O (0.033, 0.370, 0.778)
O (0.053, 0.759, 0.746)
O (0.088, 0.357, 0.666)
O (0.148, 0.276, 0.838)
O (0.194, 0.631, 0.696)
O (0.231, 0.903, 0.644)
O (0.247, 0.601, 0.801)
O (0.253, 0.819, 0.853)
O (0.427, 0.255, 0.732)
O (0.446, 0.925, 0.695)
O (0.539, 0.981, 0.884)
O (0.562, 0.707, 0.745)
O (0.583, 0.465, 0.655)
O (0.653, 0.207, 0.772)
O (0.656, 0.219, 0.840)
O (0.668, 0.719, 0.823)
O (0.807, 0.897, 0.653)

Output
- Total DFT energy (no corrections): -5.64 eV/atom
- SG: P1, No. 1
- Relative energy among the computed polymorphs: 0 meV per atom

(2)
Here is AlO3 after structural relaxation from Materials Project. Energies are from PBE-GGA.

Lattice parameters (Å, degrees): 4.992 5.530 5.532 114.95 115.89 94.22
Fractional coordinates of all 8 atoms:
Al (0.112, 0.306, 0.112)
Al (0.888, 0.694, 0.888)
O (0.013, 0.378, 0.797)
O (0.210, 0.976, 0.002)
O (0.430, 0.452, 0.564)
O (0.570, 0.548, 0.436)
O (0.790, 0.024, 0.998)
O (0.987, 0.622, 0.203)

Output
- Total DFT energy (no corrections): -5.79 eV/atom
- SG: P-1, No. 2

(3)
Here is AlO3 after structural relaxation from Materials Project. Energies are from PBE-GGA.

Lattice parameters (Å, degrees): 5.379 5.379 5.379 56.75 56.75 56.75
Fractional coordinates of all 8 atoms:
Al (0.000, 0.000, 0.000)
Al (0.500, 0.500, 0.500)
O (0.237, 0.750, 0.263)
O (0.250, 0.737, 0.763)
O (0.263, 0.237, 0.750)
O (0.737, 0.763, 0.250)
O (0.750, 0.263, 0.237)
O (0.763, 0.250, 0.737)

Output
- Total DFT energy (no corrections): -5.72 eV/atom
- SG: R-3c, No. 167

(4)
Here is AlO3 after structural relaxation from Materials Project. Energies are from PBE-GGA.

Lattice parameters (Å, degrees): 8.576 5.656 12.210 90.00 127.43 90.00
Fractional coordinates of all 32 atoms:
Al (0.153, 0.054, 0.152)
Al (0.153, 0.446, 0.652)
Al (0.324, 0.038, 0.826)
Al (0.324, 0.462, 0.326)
Al (0.676, 0.538, 0.674)
Al (0.676, 0.962, 0.174)
Al (0.847, 0.554, 0.348)
Al (0.847, 0.946, 0.848)
O (0.107, 0.588, 0.499)
O (0.107, 0.912, 0.999)
O (0.149, 0.726, 0.226)
O (0.149, 0.774, 0.726)
O (0.179, 0.208, 0.293)
O (0.179, 0.292, 0.793)
O (0.310, 0.195, 0.693)
O (0.310, 0.305, 0.193)
O (0.343, 0.706, 0.778)
O (0.343, 0.794, 0.278)
O (0.425, 0.563, 0.506)
O (0.425, 0.937, 0.006)
O (0.575, 0.063, 0.994)
O (0.575, 0.437, 0.494)
O (0.657, 0.206, 0.722)
O (0.657, 0.294, 0.222)
O (0.690, 0.695, 0.807)
O (0.690, 0.805, 0.307)
O (0.821, 0.708, 0.207)
O (0.821, 0.792, 0.707)
O (0.851, 0.226, 0.274)
O (0.851, 0.274, 0.774)
O (0.893, 0.088, 0.001)
O (0.893, 0.412, 0.501)

Output
- Total DFT energy (no corrections): -5.81 eV/atom
- SG: P2_1/c, No. 14

(5)
Here is AlO3 after structural relaxation from Materials Project. Energies are from PBE-GGA.

Lattice parameters (Å, degrees): 5.487 6.100 6.955 89.73 85.64 80.86
Fractional coordinates of all 16 atoms:
Al (0.005, 0.328, 0.168)
Al (0.479, 0.834, 0.671)
Al (0.521, 0.166, 0.329)
└──

(1)
Here is Al2O after structural relaxation from Materials Project. Energies are from PBE-GGA.

Lattice parameters (Å, degrees): 5.629 5.656 49.782 89.46 88.33 60.73
Fractional coordinates of all 54 atoms:
Al (0.000, 0.000, 0.000)
Al (0.000, 0.497, 0.000)
Al (0.003, 0.500, 0.811)
Al (0.144, 0.668, 0.093)
Al (0.150, 0.163, 0.093)
Al (0.175, 0.629, 0.659)
Al (0.180, 0.164, 0.953)
Al (0.180, 0.664, 0.955)
Al (0.229, 0.293, 0.702)
Al (0.261, 0.824, 0.720)
Al (0.290, 0.462, 0.766)
Al (0.325, 0.332, 0.047)
Al (0.325, 0.832, 0.047)
Al (0.351, 0.343, 0.908)
Al (0.361, 0.820, 0.907)
Al (0.450, 0.565, 0.829)
Al (0.467, 0.498, 0.140)
Al (0.468, 0.996, 0.141)
Al (0.485, 0.010, 0.847)
Al (0.499, 0.003, 0.000)
Al (0.504, 0.500, 0.000)
Al (0.549, 0.807, 0.661)
Al (0.646, 0.163, 0.093)
Al (0.646, 0.666, 0.093)
Al (0.677, 0.671, 0.953)
Al (0.679, 0.164, 0.953)
Al (0.686, 0.951, 0.747)
Al (0.821, 0.358, 0.753)
Al (0.823, 0.833, 0.046)
Al (0.825, 0.331, 0.048)
Al (0.857, 0.334, 0.908)
Al (0.863, 0.827, 0.908)
Al (0.907, 0.177, 0.654)
Al (0.957, 0.142, 0.860)
Al (0.967, 0.998, 0.140)
Al (0.968, 0.497, 0.140)
O (0.003, 0.200, 0.722)
O (0.033, 0.370, 0.778)
O (0.053, 0.759, 0.746)
O (0.088, 0.357, 0.666)
O (0.148, 0.276, 0.838)
O (0.194, 0.631, 0.696)
O (0.231, 0.903, 0.644)
O (0.247, 0.601, 0.801)
O (0.253, 0.819, 0.853)
O (0.427, 0.255, 0.732)
O (0.446, 0.925, 0.695)
O (0.539, 0.981, 0.884)
O (0.562, 0.707, 0.745)
O (0.583, 0.465, 0.655)
O (0.653, 0.207, 0.772)
O (0.656, 0.219, 0.840)
O (0.668, 0.719, 0.823)
O (0.807, 0.897, 0.653)

Output
- Total DFT energy (no corrections): -5.64 eV/atom
- SG: P1, No. 1
- Relative energy among the computed polymorphs: 0 meV per atom

(2)
Here is AlO3 after structural relaxation from Materials Project. Energies are from PBE-GGA.

Lattice parameters (Å, degrees): 4.992 5.530 5.532 114.95 115.89 94.22
Fractional coordinates of all 8 atoms:
Al (0.112, 0.306, 0.112)
Al (0.888, 0.694, 0.888)
O (0.013, 0.378, 0.797)
O (0.210, 0.976, 0.002)
O (0.430, 0.452, 0.564)
O (0.570, 0.548, 0.436)
O (0.790, 0.024, 0.998)
O (0.987, 0.622, 0.203)

Output
- Total DFT energy (no corrections): -5.79 eV/atom
- SG: P-1, No. 2

(3)
Here is AlO3 after structural relaxation from Materials Project. Energies are from PBE-GGA.

Lattice parameters (Å, degrees): 5.379 5.379 5.379 56.75 56.75 56.75
Fractional coordinates of all 8 atoms:
Al (0.000, 0.000, 0.000)
Al (0.500, 0.500, 0.500)
O (0.237, 0.750, 0.263)
O (0.250, 0.737, 0.763)
O (0.263, 0.237, 0.750)
O (0.737, 0.763, 0.250)
O (0.750, 0.263, 0.237)
O (0.763, 0.250, 0.737)

Output
- Total DFT energy (no corrections): -5.72 eV/atom
- SG: R-3c, No. 167

(4)
Here is AlO3 after structural relaxation from Materials Project. Energies are from PBE-GGA.

Lattice parameters (Å, degrees): 8.576 5.656 12.210 90.00 127.43 90.00
Fractional coordinates of all 32 atoms:
Al (0.153, 0.054, 0.152)
Al (0.153, 0.446, 0.652)
Al (0.324, 0.038, 0.826)
Al (0.324, 0.462, 0.326)
Al (0.676, 0.538, 0.674)
Al (0.676, 0.962, 0.174)
Al (0.847, 0.554, 0.348)
Al (0.847, 0.946, 0.848)
O (0.107, 0.588, 0.499)
O (0.107, 0.912, 0.999)
O (0.149, 0.726, 0.226)
O (0.149, 0.774, 0.726)
O (0.179, 0.208, 0.293)
O (0.179, 0.292, 0.793)
O (0.310, 0.195, 0.693)
O (0.310, 0.305, 0.193)
O (0.343, 0.706, 0.778)
O (0.343, 0.794, 0.278)
O (0.425, 0.563, 0.506)
O (0.425, 0.937, 0.006)
O (0.575, 0.063, 0.994)
O (0.575, 0.437, 0.494)
O (0.657, 0.206, 0.722)
O (0.657, 0.294, 0.222)
O (0.690, 0.695, 0.807)
O (0.690, 0.805, 0.307)
O (0.821, 0.708, 0.207)
O (0.821, 0.792, 0.707)
O (0.851, 0.226, 0.274)
O (0.851, 0.274, 0.774)
O (0.893, 0.088, 0.001)
O (0.893, 0.412, 0.501)

Output
- Total DFT energy (no corrections): -5.81 eV/atom
- SG: P2_1/c, No. 14

(5)
Here is AlO3 after structural relaxation from Materials Project. Energies are from PBE-GGA.

Lattice parameters (Å, degrees): 5.487 6.100 6.955 89.73 85.64 80.86
Fractional coordinates of all 16 atoms:
Al (0.005, 0.328, 0.168)
Al (0.479, 0.834, 0.671)
Al (0.521, 0.166, 0.329)